Vikram Seth
Vikram Seth

When I realised that I had feelings for men as well as women, at first I was worried and frightened, and there was a certain amount of 'Who am I? Am I a criminal?' and so on. It took me a long time to come to terms with myself. Those were painful years - painful then and painful to look back on.

Vikram Seth
Vikram Seth

I don't think people give Indian society enough credit. We may not like to talk much about things but we do, basically, want to live and let live.

Vikram Seth
Vikram Seth

I'm not sure anyone can understand a whole life, even their own.

Vikram Seth
Vikram Seth

I love speculating about solutions to problems in mathematics. I have no interest whatever in sudoku. But I do look at chess and bridge problems in newspapers. I find that relaxing.

Vikram Seth
Vikram Seth

I need my natural laziness to be counteracted by obsession in order to do anything.

Vikram Seth
Vikram Seth

I rarely listen to music while writing. If I don't like it, it bothers me, and if I like it, it absorbs me so much I can't write.

Vikram Seth
Vikram Seth

As for what I listen to after writing, it could be anything - but I've noticed that if the current book contains music from one tradition, it is music from another tradition that most relaxes me.

Vikram Seth
Vikram Seth

In general, questions are fine; you can always seize upon the parts of them that interest you and concentrate on answering those. And one has to remember when answering questions that asking questions isn't easy either, and for someone who's quite shy to stand up in an audience to speak takes some courage.

Vikram Seth
Vikram Seth

I have a reputation for being hermitlike. I'm not. I'm just obsessed with my work.

Vikram Seth
Vikram Seth

Why do writers, say, give up a job in economics and decide to write poetry? Or, why do they give up a job in a bank and decide to paint, like Krishan Khanna? They want to convey something.

Vikram Seth
Vikram Seth

Basically, my mother couldn't hold a tune and when I was a baby, a rather tactless baby, I would ask her not to sing... you can't get to sleep if someone is singing off key nearby.

Vikram Seth
Vikram Seth

Good music is good music, but it has to be good.

Vikram Seth
Vikram Seth

In a painting, you can't make out whether the artist painted the left eye before the right eye. In Chinese calligraphy, you can see the progression of the artist's stroke.

Vikram Seth
Vikram Seth

I simply seem to drift. But I sort of allow the drift, because it has a kind of check - it forces me to work harder at what I'm interested in.

**What comes next are quantum chemistry results, not part of the piece**
<<<
(1)
{
  "formula": "C4H10N",
  "method": "wB97M-V/def2-TZVPD",
  "charge": 1,
  "e_above_lowest_kj_mol": 134.32,
  "e_tot_ev": -5792.466,
  "symbols": ["C", "C", "C", "C", "H", "H", "H", "H", "H", "H", "N", "H", "H", "H", "H"],
  "positions_angstrom": [[1.3276, 1.1876, 1.1625], [0.1212, 0.6217, 1.0635], [-0.0748, -0.8292, 0.9523], [-1.2437, -1.4015, 0.6242], [2.2196, 0.5751, 1.1475], [1.4810, 2.2520, 1.2760], [-0.7603, 1.2568, 1.0612], [0.7795, -1.4652, 1.1530], [-1.3308, -2.4765, 0.6538], [-2.1353, -0.8023, 0.4762], [-0.0842, 0.2058, -1.9358], [-0.3833, -0.5362, -1.2682], [-0.8707, 0.7827, -2.2477], [0.5487, 0.7887, -1.3695], [0.4056, -0.1597, -2.7490]],
  "forces_ev_per_angstrom": [[-0.04, -0.20, -0.10], [0.29, 0.20, -0.04], [-0.47, -0.01, -0.15], [0.48, 0.23, 0.48], [0.09, -0.06, 0.13], [-0.15, 0.02, -0.03], [-0.10, -0.09, 0.08], [0.11, 0.03, 0.03], [-0.16, -0.08, -0.24], [-0.08, -0.07, -0.02], [0.13, 0.41, 0.15], [-0.16, -0.06, -0.24], [0.02, -0.19, 0.12], [-0.02, 0.05, -0.12], [0.04, -0.19, -0.03]]
}

---

(2)
{
  "formula": "C4H10N",
  "method": "wB97M-V/def2-TZVPD",
  "charge": 1,
  "e_above_lowest_kj_mol": 478.74,
  "e_tot_ev": -5788.896,
  "symbols": ["C", "C", "C", "C", "N", "H", "H", "H", "H", "H", "H", "H", "H", "H", "H"],
  "positions_angstrom": [[1.2325, -0.5489, -1.2265], [0.7477, -0.7511, 0.1832], [1.3478, 0.2479, 1.1355], [-2.3825, 0.6043, 0.0456], [-1.2067, 0.6106, -0.2523], [0.8352, 0.3283, -1.7319], [0.9453, -1.4340, -1.7979], [2.3244, -0.5280, -1.2122], [0.7724, -1.7769, 0.5531], [-0.4633, -0.4213, 0.1709], [1.2345, 1.2331, 0.6778], [2.3834, 0.0355, 1.3957], [-2.9634, 1.5046, -0.1801], [-2.8820, -0.3546, 0.2318], [0.7514, 0.2840, 2.0527]],
  "forces_ev_per_angstrom": [[-0.84, -1.52, -0.15], [3.02, 0.59, -0.17], [-1.91, 0.52, 0.22], [-2.12, -1.90, -0.32], [3.31, 1.00, 0.18], [0.15, 0.24, 0.25], [0.09, 0.18, -0.29], [0.02, 0.23, 0.11], [-0.75, -0.08, -0.10], [-1.71, 0.58, -0.52], [0.49, 0.05, 0.07], [0.06, -0.20, -0.23], [0.12, 0.06, -0.01], [-0.30, 0.38, 0.78], [0.36, -0.12, 0.19]]
}

---

(3)
{
  "formula": "C4H10N2",
  "method": "wB97M-V/def2-TZVPD",
  "smiles": "[H]/N=C/N.C=CC",
  "e_above_lowest_kj_mol": 172.52,
  "e_tot_ev": -7288.831,
  "symbols": ["H", "N", "C", "N", "H", "H", "H", "C", "C", "C", "H", "H", "H", "H", "H", "H"],
  "positions_angstrom": [[1.6103, -0.1706, -1.8744], [1.7892, -0.5733, -0.9555], [2.2990, 0.1919, -0.0716], [2.4244, -0.1188, 1.2570], [2.7171, 1.1546, -0.5049], [2.3164, -1.1120, 1.5053], [3.1293, 0.4327, 1.7482], [-2.7945, 0.6134, 0.9977], [-1.9266, -0.0748, 0.1930], [-1.9214, -0.0908, -1.2958], [-2.5565, 0.8015, 2.0898], [-3.5590, 1.1760, 0.5062], [-1.1716, -0.7838, 0.5151], [-2.5052, -1.0073, -1.5818], [-2.4832, 0.7665, -1.6861], [-0.9321, -0.2505, -1.7685]],
>>>

Vikram Seth
Vikram Seth

Everyone sort of sees his own life and times as being ephemeral. One thinks that everything good or important that happened, happened in the past. But I think that seeing scenes that you are used to, but with the heightening effects of poetry, perhaps makes you value your life and times more than you might otherwise do.

Vikram Seth
Vikram Seth

Do not write if there is no tremendous urge to do so. At the heart, there must be an inspiration or muse or one of those old-fashioned things. Else, why bore yourself, destroy other people's interest and kill trees?

Vikram Seth
Vikram Seth

You get your inspiration - suggestions - wherever you have to, even from your mother.

Vikram Seth
Vikram Seth

You can talk good ideas out of existence.

Vikram Seth
Vikram Seth

Those books of mine that are remunerative - I'm not talking about poetry here - take years to write, and I am never sure they'll be successful. So writing is a risk in more senses than one.

Vikram Seth
Vikram Seth

I don't want to talk too much about the nitty-gritty of writing. It's rather like a pressure cooker with a certain amount of pressure in it - the more you let out, the less you cook.